So, in a Pharyngula thread Giliell observed:
Actually I do think that people, especially white men*, voting for Trump because they want to live in a world where they can “grab them by the pussy” (or tit) and not face any repercussions is quite a sensible hypothesis.
*I will forever not understand white women
Which led me to think: isn’t the heterosexuality of women who grow up in communities where men’s entitlement to sexual assault is the norm rock solid proof that sexual orientation isn’t a choice?
I mean seriously, if being raped *did* cause het women to forever reject sex with men and become radical lesbian feminists, you’d quick-as-fuck see a heterosexual men’s movement to stamp out rape.
Or a movement that doubled down on rape.
1.
30
Lattice="-6.386 6.386 2.499 6.386 -6.386 2.499 6.386 6.386 -2.499" Properties=species:S:1:pos:R:3 comment="Hf4Co4Si7, relaxed, DFT meta-GGA r2SCAN" sg="I4/mmm, No. 139" pbc="T T T"
Hf 2.514 0.000 0.000
Hf 10.258 0.000 0.000
Hf 0.000 2.514 0.000
Hf 4.628 4.628 0.000
Hf 1.758 -1.758 2.499
Hf -1.758 1.758 2.499
Hf 1.758 1.758 2.499
Hf 0.000 10.258 0.000
Co 4.495 -1.891 1.250
Co 8.277 -1.891 1.250
Co 4.495 1.891 1.250
Co 8.277 1.891 1.250
Co -1.891 4.495 1.250
Co 1.891 4.495 1.250
Co -1.891 8.277 1.250
Co 1.891 8.277 1.250
Si 5.211 0.000 0.000
Si 7.561 0.000 0.000
Si 6.386 2.521 0.000
Si 2.690 2.690 0.000
Si 3.696 -3.696 2.499
Si 0.000 0.000 1.245
Si 0.000 5.211 0.000
Si 2.521 6.386 0.000
Si 3.865 0.000 2.499
Si 0.000 7.561 0.000
Si 0.000 0.000 3.754
Si -3.696 3.696 2.499
Si 3.696 3.696 2.499
Si 0.000 3.865 2.499



2.
24
Lattice="12.917 0.000 0.000 0.000 5.269 0.000 0.000 0.000 6.619" Properties=species:S:1:pos:R:3 comment="SrZn5, relaxed, DFT meta-GGA r2SCAN" sg="Pnma, No. 62" pbc="T T T"
Sr 1.148 1.317 0.946
Sr 5.311 3.952 4.256
Sr 7.606 1.317 2.363
Sr 11.769 3.952 5.673
Zn 0.255 3.952 2.686
Zn 1.870 5.269 4.309
Zn 1.870 2.635 4.309
Zn 2.666 3.952 6.315
Zn 2.748 3.952 2.236
Zn 3.710 1.317 5.545
Zn 3.792 1.317 3.005
Zn 4.589 0.001 0.999
Zn 4.589 2.634 0.999
Zn 6.203 1.317 5.996
Zn 6.713 3.952 0.624
Zn 8.328 5.269 5.620
Zn 8.328 2.635 5.620
Zn 9.124 3.952 3.614
Zn 9.207 3.952 1.074
Zn 10.168 1.317 4.384
Zn 10.251 1.317 0.305
Zn 11.047 0.001 2.310
Zn 11.047 2.634 2.310
Zn 12.662 1.317 3.933



3.
34
Lattice="7.424 0.000 0.000 1.450 11.304 0.000 2.436 3.922 12.107" Properties=species:S:1:pos:R:3 comment="Ta3Se8Br6, relaxed, DFT meta-GGA r2SCAN" sg="P-1, No. 2" pbc="T T T"
Ta 1.030 6.127 1.494
Ta 1.653 7.114 4.563
Ta 4.751 2.929 9.011
Ta 6.559 12.297 3.096
Ta 9.657 8.112 7.544
Ta 10.280 9.099 10.613
Se 2.143 9.609 5.342
Se 1.047 3.628 0.583
Se 2.979 7.679 2.253
Se 4.249 9.718 8.502
Se 4.245 7.396 9.023
Se 3.131 5.491 3.144
Se 3.921 8.074 5.515
Se 5.165 8.985 11.884
Se 6.145 6.241 0.223
Se 7.389 7.152 6.592
Se 8.180 9.735 8.963
Se 7.065 7.830 3.084
Se 7.061 5.508 3.605
Se 8.331 7.547 9.854
Se 10.263 11.598 11.524
Se 9.167 5.617 6.765
Br 3.082 4.456 10.157
Br 4.279 13.016 7.905
Br 3.406 2.451 4.211
Br 6.036 12.590 10.936
Br 4.731 11.044 1.965
Br 4.824 4.458 6.986
Br 6.486 10.768 5.120
Br 6.579 4.182 10.142
Br 5.275 2.636 1.171
Br 7.905 12.775 7.896
Br 7.031 2.210 4.201
Br 8.228 10.770 1.950



4.
12
Lattice="10.259 0.000 0.000 0.000 4.286 0.000 -4.572 0.000 5.125" Properties=species:S:1:pos:R:3 comment="YbGePd, relaxed, DFT meta-GGA r2SCAN" sg="C2/m, No. 12" pbc="T T T"
Yb -0.824 0.000 1.466
Yb 1.381 2.143 3.659
Yb 4.306 2.143 1.466
Yb 6.510 0.000 3.659
Ge -1.642 2.143 3.654
Ge 2.199 0.000 1.471
Ge 3.488 0.000 3.654
Ge 7.328 2.143 1.471
Pd 1.239 2.143 0.653
Pd -0.682 0.000 4.472
Pd 6.369 0.000 0.653
Pd 4.447 2.143 4.472



5.
12
Or a movement whining that #notallmen, and that it’s unfair.
Between two parts of the text: calculated crystals:
/*
Density functional theory data (PBE with a Hubbard U) for a relaxed structure of NaCa3MgFeSi4O14.

The structure in POSCAR format:
```
NaCa3MgFeSi4O14
1.0
-0.561 1.455 -4.839
-7.733 1.085 1.120
1.291 7.565 2.013
Na Ca Mg Fe Si O
1 3 1 1 4 14
Cartesian
-6.213 4.147 -0.844
-2.747 2.464 -1.647
-0.724 5.863 -0.984
-4.333 7.729 0.040
-3.786 5.782 -3.272
-0.010 0.012 -0.015
-5.255 3.070 -3.568
-0.687 3.000 0.590
-2.181 8.217 -2.406
-5.870 5.909 1.973
-4.826 1.976 -0.298
-1.205 4.030 -2.698
-1.747 7.183 0.886
-6.287 7.072 -1.291
-4.503 4.114 -2.581
-0.605 1.747 -0.492
-2.729 6.748 -1.951
-6.245 7.507 1.620
-4.591 5.599 1.020
-0.649 8.293 -1.761
-2.005 3.854 0.112
-6.658 2.607 -2.817
-7.159 5.099 1.269
-3.022 9.240 -1.364
```

- E (MP2020) (eV per atom) = -7.64
- energy of formation from the pure elements (meV/atom) = -3120.9
- space group = P1, No. 1
- energy above the most stable polymorph in this dataset (eV/atom) = 0.000


Density functional theory data (PBE with a Hubbard U) for a relaxed structure of CaMgFeP2O13.

The structure in POSCAR format:
```
CaMgFeP2O13
1.0
-9.371 -6.781 -11.187
-5.335 -13.118 12.421
-5.332 4.065 2.003
Ca Mg Fe P O
8 8 8 16 104
Cartesian
-7.601 -5.632 -2.025
-5.273 -0.389 4.420
-9.789 -12.277 4.300
-17.415 -13.370 -0.222
-12.438 -10.202 5.261
-14.766 -15.446 -1.183
-10.250 -3.557 -1.064
-2.624 -2.464 3.459
-12.822 -7.968 0.523
-8.012 -13.071 11.160
-7.276 0.577 -2.354
-11.968 -11.207 -2.855
-7.217 -7.867 2.714
-12.027 -2.763 -7.923
-12.763 -16.411 5.591
-8.071 -4.627 6.091
-9.793 -7.449 -4.917
-7.802 -1.987 1.677
-7.585 -10.431 7.166
-14.898 -11.801 2.548
-10.246 -8.385 8.154
-12.237 -13.847 1.560
-12.454 -5.403 -3.929
-5.141 -4.033 0.688
-10.237 -10.548 -5.569
-9.707 -0.589 -0.476
-8.191 -9.915 10.263
-11.942 -10.616 2.257
-9.801 -5.286 8.806
-10.332 -15.245 3.713
-11.848 -5.919 -7.026
-8.097 -5.218 0.980
-13.010 -4.885 -0.848
-2.213 -2.836 0.438
-10.724 -11.449 7.485
-14.129 -12.498 -0.601
-7.028 -10.949 4.085
-17.826 -12.998 2.799
-9.314 -4.385 -4.248
-5.909 -3.336 3.838
-14.034 -6.572 -3.431
-4.803 -3.764 -1.292
-9.566 -9.430 9.753
-11.674 -11.903 1.444
-6.005 -9.262 6.668
-15.235 -12.071 4.529
-10.472 -6.404 -6.516
-8.365 -3.932 1.793
-10.761 -9.062 -5.605
-8.838 -1.825 -0.029
-7.152 -10.133 9.098
-13.326 -10.648 3.009
-9.278 -6.772 8.842
-11.201 -14.009 3.265
-12.887 -5.701 -5.861
-6.712 -5.186 0.228
-16.049 -7.048 -4.931
-5.603 -5.325 -3.153
-7.501 -8.833 11.138
-10.924 -10.462 3.420
-3.989 -8.787 8.168
-14.436 -10.509 6.390
-12.537 -7.001 -7.901
-9.115 -5.372 -0.183
-10.901 -11.291 -4.393
-8.906 0.254 -1.489
-8.366 -11.235 11.040
-11.904 -9.396 1.315
-9.137 -4.543 7.629
-11.133 -16.088 4.726
-11.672 -4.599 -7.803
-8.135 -6.438 1.922
-11.977 -5.025 -2.023
-3.566 -2.927 1.232
-11.208 -9.958 7.381
-13.326 -13.758 -0.116
-8.061 -10.809 5.260
-16.473 -12.907 2.005
-8.830 -5.876 -4.144
-6.713 -2.076 3.353
-9.078 -8.509 -3.325
-7.262 -0.020 1.582
-9.198 -11.579 7.664
-14.539 -11.560 0.553
-10.961 -7.325 6.562
*/
(Ok, realistically all 3. And we kinda already have all 3 without it. …anybody go a meteor that could be diverted to earth? Asking for a friend)
If sexual orientation were a choice, men who choose to be heterosexual would rarely get to fuck.
Though I do know quite some women who are heterosexual but who decide that what men are offering just isn’t enough because dick may be nice but the dude attached to it is less so.
But remember that women not fucking men is a grave injustice. Seriously, I got told so by a gay dude upon remarking that should I, heavens forbid, ever go looking for a partner again, (cis) men would be off the table.
Giliell @2:
A long time ago, long before I’d ever heard the word “transgender” and simply assumed I was male like I was told, I remember thinking that it was odd that more women weren’t lesbian, given what assholes most men are. Why would you subject yourself to that?
And now that I’ve transitioned, I still don’t get it. I call myself lesbian mainly because I can’t imagine a man who would feel safe enough for me to get intimate with him. Not having grown up as a girl, I didn’t have all the awful experiences that cis women have, but I still had enough with men, and especially masculine men, that I’d be happy if I never had to deal with one for the rest of my life. I sometimes try to imagine having sex with a man, and the idea of having a penis in my (future) neo-vagina is sort of intriguing, but only if I can forget that there’s a man attached to it. I keep reminding myself that men are human, too, but the bad experiences (and the horror of male socialization) keep intruding.
# The text is interrupted by calculated crystals
=====
Record 1
{"formula": "ThIr5", "functional": "r²SCAN", "state": "relaxed", "lattice": [[-0.194, -3.055, -4.333], [4.673, 1.735, 1.815], [0.352, -3.557, 2.492]], "species": ["Th", "Ir", "Ir", "Ir", "Ir", "Ir"], "fractional_positions": [[0.000, 0.000, 0.000], [0.333, 0.667, 0.000], [0.667, 0.333, 0.000], [0.500, 0.000, 0.500], [0.500, 0.500, 0.500], [0.000, 0.500, 0.500]], "ef_kj_per_mol_atoms": -46, "m_tot_mub_per_cell": 0.00, "density_kg_m3": 18659}

Record 2
=====
Penises can be found attached to non-men, and under the right circumstances many people have found them fun & diverting. If you want to include PiV in your future sex repertoire, I’m sure you’ll have opportunities. And if you can’t find a penis attached to a person who attracts and interests you, there are always strap-ons which have the advantage of coming in almost endless varieties of length, girth, shape, rigidity & texture. Just walking through a sex toy shop can be, in the words of the immortal Tim Currie, “Stimulating! Stimulating!”*
*From his song “I Do the Rock”, not from Rocky Horror.
There are occasionally non-terrible cis men, but I admit they’re rarer than gold in rivers.